Structure of the Report


Chapter 1 provides an introduction to the Inquiry and an overview of the scope of the Terms of Reference. It outlines why reform is needed to the Native Title Act, discusses the rationale for reform, and guiding principles. It gives an overview of the law reform process for developing the recommendations, including the extensive consultations that were undertaken across Australia.

Framework for Review: Historical and International Perspectives

Chapter 2 places the development of native title law in an historical context to provide an understanding of how difficulties with proof of native title evolved. It discusses recognition of native title in Mabo [No 2] and the Native Title Act, before considering how international law is relevant to native title.

Context for Reform

Chapter 3 places the operation of the native title system in a wider context. Outcomes in the states and territories are affected by different patterns of European settlement and pre-existing land rights regimes. The Federal Court’s management of its native title caseload is evolving, and increasing rates of consent determinations are a positive trend, but some concerns remain. Native title is not the only path to land justice, and this chapter briefly considers other responses.

Defining Native Title

Chapter 4 sets out the legal requirements to establish native title rights and interests commonly referred to as ‘connection requirements’. It outlines the definition of native title in s 223 of the Native Title Act, sets out major judicial statements on its interpretation, and provides an overview of the ALRC’s recommendations for reform of connection requirements.

Traditional Laws and Customs           

Chapter 5 discusses the requirements of s 223 of the Native Title Act in more detail, focusing on the requirement to establish that native title rights are possessed under the ‘traditional laws acknowledged and traditional customs observed’ by the relevant Aboriginal peoples or Torres Strait Islanders. The chapter outlines how this requirement has been interpreted, focusing on the approach taken to the meaning of acknowledgment and observance of traditional laws and customs. The ALRC makes five key recommendations for reform of this aspect of the definition.

Connection with the Land or Waters

Chapter 6 discusses how connection to land and waters is proved and whether physical occupation or continued and recent use is required as part of that proof. The ALRC makes two recommendations in this area. The chapter examines the feasibility of reframing connection and if there should be ‘empowerment of courts to disregard substantial interruption or change in continuity of acknowledgment of traditional laws and customs’. It examines the potential for revitalisation of laws and customs, as well as examining whether the reasons for displacement of Aboriginal or Torres Strait Islander peoples should be part of the law governing connection requirements.

Proof and Evidence

Chapter 7 considers matters relating to the proof and evidence for native title. Central to this examination is whether there should be a presumption of continuity of acknowledgment and observance of traditional laws and customs and connection. The ALRC considers that it is not necessary to introduce a presumption in light of its other recommendations to amend s 223 of the Native Title Act but it does recommend that there be guidance in the Actregarding when inferences may be drawn in the proof of native title rights and interests.

• Unrelated to this piece: materials data:
........
VASP calculation (PBE-GGA) on an optimized crystal structure of Cu3PO7. Values from VASP.

As for the formation energy: -1.36 eV per atom. The calculation puts the volume at 11.9 Å³ per atom. The value obtained for the total energy is -499.7 eV for the cell shown.

Cell and atoms, written as Quantum ESPRESSO input:
```
&SYSTEM
  ibrav = 0, nat = 88, ntyp = 3
/
ATOMIC_SPECIES
O 16.00 O.upf
Cu 63.55 Cu.upf
P 30.97 P.upf
ATOMIC_POSITIONS angstrom
O 2.879 10.703 4.986
O 1.708 1.310 7.957
Cu 2.598 6.561 6.413
Cu 4.697 0.150 5.207
P 1.408 4.060 5.465
Cu 1.325 5.331 8.978
P 1.963 6.902 12.557
Cu 5.970 6.561 0.680
O 5.080 1.310 13.321
Cu 5.970 9.882 7.772
O 2.322 3.625 4.306
O 2.339 9.162 9.844
P 1.408 1.421 12.557
O 5.035 9.652 6.228
O 1.033 3.681 9.844
Cu 5.418 5.631 5.207
O 1.049 9.106 4.306
P 1.963 9.541 5.465
O 5.694 3.625 2.786
Cu 2.755 3.471 10.543
O 6.172 8.392 1.043
Cu 3.988 7.491 3.642
Cu 4.145 1.080 0.680
O 4.405 1.800 4.340
Cu 0.617 8.952 10.543
Cu 2.755 2.010 3.450
O 1.708 4.171 0.864
O 3.633 10.299 11.963
O 5.080 4.171 6.228
O 0.572 2.570 13.142
O 3.633 6.144 4.870
O 2.879 5.740 12.078
Cu 0.774 1.080 6.413
O 0.493 5.222 4.986
P 5.335 6.902 8.720
P 4.780 1.421 8.720
Cu 2.598 9.882 13.505
O 5.710 9.162 11.433
O 4.421 7.337 9.878
O 2.255 4.699 6.630
O 4.488 6.263 7.554
Cu 2.047 5.631 1.885
O 4.405 3.681 11.433
O 6.481 4.818 11.963
O 1.033 1.800 2.752
Cu 1.325 0.150 1.885
O 2.800 8.051 13.142
Cu 3.988 8.952 10.735
O 3.864 5.222 2.107
Cu 0.774 4.401 13.505
O 2.800 8.392 6.049
P 4.780 4.060 1.627
O 1.117 10.180 6.630
Cu 0.617 7.491 3.450
O 3.943 2.911 1.043
Cu 5.418 10.812 12.299
O 2.322 1.856 11.399
O 5.035 6.791 13.321
O 3.864 0.259 9.199
O 5.710 7.281 4.340
Cu 4.697 5.331 12.299
P 5.335 9.541 1.627
Cu 6.127 3.471 10.735
O 0.572 2.911 6.049
O 0.493 0.259 12.078
O 5.627 0.782 7.554
Cu 4.145 4.401 7.772
O 6.250 10.703 2.107
O 1.664 9.652 0.864
O 4.488 10.180 0.462
O 6.481 0.663 4.870
O 5.627 4.699 0.462
Cu 6.127 2.010 3.642
O 2.339 7.281 2.752
O 3.110 4.818 9.315
O 5.694 1.856 9.878
O 3.943 2.570 8.136
O 4.421 9.106 2.786
O 0.262 10.299 9.315
O 2.255 0.782 13.723
O 6.250 5.740 9.199
Cu 2.047 10.812 8.978
O 3.110 0.663 2.222
O 1.664 6.791 7.957
O 6.172 8.051 8.136
O 0.262 6.144 2.222
O 1.049 7.337 11.399
O 1.117 6.263 13.723
CELL_PARAMETERS angstrom
6.743 0.000 0.000
0.000 10.962 0.000
0.000 0.000 14.185
```

----------

Record 1
B2NCl3: relaxed, PBE.

Results
Total DFT energy (no corrections) = -399.61 eV for the cell shown
E_form = -1317 meV/atom

Lattice parameters (Å, degrees): 10.069 10.069 16.781 90.00 90.00 90.00
Space group P4_12_12 (No. 92)
Asymmetric unit:
B (0.016, 0.100, 0.064) x8
B (0.097, 0.097, 0.500) x4
B (0.126, 0.295, 0.133) x8
B (0.209, 0.209, 0.000) x4
N (0.007, 0.007, 0.000) x4
N (0.117, 0.202, 0.066) x8
Cl (0.043, 0.565, 0.377) x8
Cl (0.074, 0.248, 0.549) x8
Cl (0.093, 0.898, 0.857) x8
Cl (0.166, 0.834, 0.250) x4
Cl (0.198, 0.247, 0.224) x8

***

Record 2
BNCl: relaxed, PBE.

Results
........
• The materials data stop here:

The Nature and Content of Native Title

/*
(1)
# Y2Te3 | the Materials Project | r2SCAN | relaxed
data_Y2Te3
_chemical_formula_sum 'Y32 Te48'
_symmetry_space_group_name_H-M 'F d d d'
_symmetry_Int_Tables_number 70
_cell_length_a 8.7577
_cell_length_b 12.3468
_cell_length_c 26.2001
_cell_angle_alpha 90.00
_cell_angle_beta 90.00
_cell_angle_gamma 90.00
loop_
_symmetry_equiv_pos_as_xyz
'x,y,z'
'-x,-y,-z'
'-x+1/4,-y+1/4,z'
'x+1/4,y+1/4,-z'
'x,-y+1/4,-z+1/4'
'-x,y+1/4,z+1/4'
'-x+1/4,y,-z+1/4'
'x+1/4,-y,z+1/4'
'x,y+1/2,z+1/2'
'-x,-y+1/2,-z+1/2'
'-x+1/4,-y+3/4,z+1/2'
'x+1/4,y+3/4,-z+1/2'
'x,-y+3/4,-z+3/4'
'-x,y+3/4,z+3/4'
'-x+1/4,y+1/2,-z+3/4'
'x+1/4,-y+1/2,z+3/4'
'x+1/2,y,z+1/2'
'-x+1/2,-y,-z+1/2'
'-x+3/4,-y+1/4,z+1/2'
'x+3/4,y+1/4,-z+1/2'
'x+1/2,-y+1/4,-z+3/4'
'-x+1/2,y+1/4,z+3/4'
'-x+3/4,y,-z+3/4'
'x+3/4,-y,z+3/4'
'x+1/2,y+1/2,z'
'-x+1/2,-y+1/2,-z'
'-x+3/4,-y+3/4,z'
'x+3/4,y+3/4,-z'
'x+1/2,-y+3/4,-z+1/4'
'-x+1/2,y+3/4,z+1/4'
'-x+3/4,y+1/2,-z+1/4'
'x+3/4,-y+1/2,z+1/4'
loop_
_atom_site_label
_atom_site_type_symbol
_atom_site_fract_x
_atom_site_fract_y
_atom_site_fract_z
Y1 Y 0.1250 0.1250 0.0419
Y2 Y 0.1250 0.1250 0.3759
Te1 Te 0.1223 0.3742 0.2075
Te2 Te 0.1244 0.3750 0.3750
# * size of the total moment: 0.00 μB per formula unit
# * ΔH_f (0 K): -1.6972 eV per atom

(2)
# La3Tb | the Materials Project | r2SCAN | relaxed
data_La3Tb
_chemical_formula_sum 'La6 Tb2'
_symmetry_space_group_name_H-M 'I 4/m m m'
_symmetry_Int_Tables_number 139
_symmetry_space_group_name_Hall '-I 4 2'
_cell_length_a 5.2482
_cell_length_b 5.2482
_cell_length_c 10.4652
_cell_angle_alpha 90.00
_cell_angle_beta 90.00
_cell_angle_gamma 90.00
loop_
_atom_site_label
_atom_site_type_symbol
_atom_site_fract_x
_atom_site_fract_y
_atom_site_fract_z
La1 La 0.0000 0.0000 0.0000
La2 La 0.0000 0.5000 0.2500
Tb1 Tb 0.0000 0.0000 0.5000
# * size of the total moment: 0.00 μB per formula unit
# * ΔH_f (0 K): 0.0284 eV per atom

(3)
# Si4P4Os | the Materials Project | r2SCAN | relaxed
data_Si4P4Os
_chemical_formula_sum 'Si4 P4 Os1'
_symmetry_space_group_name_H-M 'P 1'
_symmetry_Int_Tables_number 1
_symmetry_space_group_name_Hall 'P 1'
_cell_length_a 4.9596
_cell_length_b 5.6323
_cell_length_c 6.1856
_cell_angle_alpha 85.64
_cell_angle_beta 68.35
_cell_angle_gamma 70.86
loop_
_atom_site_label
_atom_site_type_symbol
_atom_site_fract_x
_atom_site_fract_y
_atom_site_fract_z
Si1 Si 0.0000 0.0000 0.0000
Si2 Si 0.1260 0.2495 0.4477
Si3 Si 0.4326 0.4312 0.7956
Si4 Si 0.6065 0.6290 0.2555
P1 P 0.1050 0.8829 0.3252
P2 P 0.3837 0.0666 0.6909
P3 P 0.5315 0.2967 0.1310
P4 P 0.9237 0.6712 0.8867
Os1 Os 0.7629 0.6544 0.5667
# * size of the total moment: 0.00 μB per formula unit
# * ΔH_f (0 K): -0.3780 eV per atom

(4)
# CeTa3O9 | the Materials Project | r2SCAN | relaxed
data_CeTa3O9
_chemical_formula_sum 'Ce4 Ta12 O36'
_symmetry_space_group_name_H-M 'C 1 2/m 1'
_symmetry_Int_Tables_number 12
_symmetry_space_group_name_Hall '-C 2y'
_cell_length_a 12.4609
_cell_length_b 7.6456
_cell_length_c 6.5927
_cell_angle_alpha 90.00
_cell_angle_beta 93.61
*/

Chapter 8 discusses whether the Native Title Act should be clarified to provide that native title rights and interests ‘can include rights and interests of a commercial nature’. It sets out the nature and content of native title rights and interests before discussing the recommendations about ‘commercial native title’. Other sections examine whether ‘commercial purposes’ and ‘trading’ should be defined and if other types of interests, such as cultural knowledge, may constitute a native title right or interest.

[Crystal structures, kept here for reference]
No. 1
# Li2VO2F

Li2VO2F after structural relaxation (PBE+U, the Materials Project database).

The structure in POSCAR format:
```
Li2VO2F
1.0
0.000 2.083 2.083
-6.338 4.215 -2.132
-2.106 -2.124 4.207
Li V F O
4 2 2 4
Direct
0.833 0.833 0.500
0.159 0.160 0.522
0.333 0.333 0.000
0.508 0.507 0.478
0.663 0.668 0.006
0.004 0.998 0.994
0.919 0.418 0.745
0.748 0.249 0.255
0.424 0.919 0.233
0.243 0.747 0.767
0.570 0.084 0.777
0.097 0.583 0.223
```

## Properties
Space group ... No. 12
Relative energy among the computed polymorphs ... 0.258 eV per formula unit
E_form ... -2.6698 eV/atom
Total DFT energy (no corrections) ... -6.20 eV/atom

***

No. 2
# Li2VO2F

Li2VO2F after structural relaxation (PBE+U, the Materials Project database).

The structure in POSCAR format:
```
Li2VO2F
1.0
-0.558 2.446 -1.673
-4.118 -4.054 -4.554
-10.206 1.359 8.105
F Li O V
5 10 10 5
Direct
0.595 0.992 0.187
0.999 0.001 0.998
0.804 0.000 0.611
0.399 0.998 0.803
0.052 0.660 0.132
0.074 0.149 0.143
0.531 0.859 0.058
0.732 0.869 0.461
0.150 0.859 0.287
0.864 0.160 0.730
0.462 0.156 0.926
0.263 0.144 0.525
0.328 0.842 0.661
0.680 0.133 0.356
0.927 0.840 0.860
0.859 0.653 0.738
0.516 0.361 0.068
0.265 0.646 0.539
0.126 0.346 0.264
0.733 0.356 0.469
0.204 0.000 0.404
0.478 0.654 0.935
0.326 0.348 0.672
0.666 0.644 0.329
0.948 0.344 0.868
0.587 0.483 0.207
0.794 0.501 0.603
0.991 0.493 0.994
0.405 0.501 0.800
0.202 0.500 0.403
```

## Properties
Space group ... No. 1
Relative energy among the computed polymorphs ... 0.538 eV per formula unit
E_form ... -2.6232 eV/atom
Total DFT energy (no corrections) ... -6.15 eV/atom

***

No. 3
# Li7VO5F

Li7VO5F after structural relaxation (PBE+U, the Materials Project database).

The structure in POSCAR format:
```
Li7VO5F
1.0
-1.327 2.662 -4.708
-0.954 -5.923 0.036
-7.321 1.823 5.609
Li O F V
14 10 2 2
Direct
0.881 0.734 0.131
0.961 0.397 0.610
0.352 0.140 0.098
0.648 0.860 0.902
0.226 0.124 0.471
0.496 0.547 0.230
0.774 0.876 0.529
0.504 0.453 0.770
0.755 0.350 0.991
0.119 0.266 0.869
0.497 0.012 0.683
0.245 0.650 0.009
0.039 0.603 0.390
0.503 0.988 0.317
0.111 0.326 0.078
0.822 0.979 0.736
0.178 0.021 0.264
0.258 0.590 0.806
0.742 0.410 0.194
0.611 0.881 0.134
0.924 0.207 0.421
0.076 0.793 0.579
0.389 0.119 0.866
0.889 0.674 0.922
0.578 0.316 0.609
0.422 0.684 0.391
0.936 0.182 0.224
0.064 0.818 0.776
```

## Properties
Space group ... No. 2
Relative energy among the computed polymorphs ... 0.258 eV per formula unit
E_form ... -2.3446 eV/atom
Total DFT energy (no corrections) ... -5.45 eV/atom

***

No. 4
# Li2VO2F

Li2VO2F after structural relaxation (PBE+U, the Materials Project database).

The structure in POSCAR format:
```
Li2VO2F
1.0
-0.934 -1.317 -2.461
-3.697 -3.358 3.200
-5.944 2.905 -1.060
O Li F V
4 4 2 2
Direct
0.504 0.235 0.991
0.829 0.431 0.342
0.834 0.902 0.333
0.500 0.764 0.001
0.334 0.178 0.332
0.667 0.833 0.667
0.667 0.333 0.667
0.999 0.489 0.002
0.165 0.079 0.671
0.169 0.588 0.662
0.996 0.005 0.007
0.337 0.662 0.326
```

Native Title: Comparisons with Common Law Jurisdictions

Chapter 9 provides an overview of legal frameworks and jurisprudence in Canada and New Zealand in relation to Indigenous peoples’ rights to land and waters. It analyses comparable developments in the common law jurisprudence relevant to native title.


Chapter 10 concerns the native title claim group’s authorisation of an applicant to make a claim. This chapter makes recommendations for reform regarding the claim group’s decision-making process, the scope of the applicant’s authority, the replacement of a member of the applicant, and the duty of the applicant to the group. The recommendations are intended to support groups as they develop their internal governance.

Parties and Joinder

Chapter 11 discusses party and joinder provisions under s 84 of the Native Title Act, which specify who is a party to native title proceedings, in what circumstances they may join, and when they may be dismissed. It analyses the role of the Crown as a primary respondent, the potential for large numbers of third party respondents, and late joinder. It outlines recommendations including in relation to claimants and potential claimants as respondents, and rights of appeal.

Promoting Claims Resolution

Chapter 12 considers the processes involved in native title claims resolution. It looks at the role of the Crown in native title applications; the use of expert evidence in native title proceedings; handling information generated as connection evidence; specialist training schemes; and the native title application inquiry process.